The Potential Power of NASA Mission Trailers

How humanizing and diversifying NASA’s storytelling can help get people excited about space again

Robert Boler
Damn Good Tech
3 min readJul 3, 2016


This Independence Day, we’re not being invaded by aliens — Jupiter is.

NASA’s Juno probe will travel closer to our largest neighboring planet than any prior spacecraft, and in doing so take a ton of sweet photos and sound recordings and measurements and stuff. Apparently this mission is pretty gnarly. Jupiter has a ton of dangerous radiation, and they don’t really know what’ll happen to Juno.

To get us all hyped, they made a cinematic mission trailer. Check it out:

This is cool for two reasons:

  • It’s got respectable production quality.
  • It briefly (though too vaguely) explains why we’re doing it.
  • It rekindles interest in the mission after the long gap of time since Juno launched from Earth.
  • It drums up intrigue by pointing out how dangerous Jupiter is to Juno, and how uncertain the outcome is.
  • Because I love space. Space is awesome. Space exploration is a unifying, challenging, exciting thing for humanity. Spacey space space.

Ok, so that’s not two reasons, but you see my point: The idea of a “mission trailer” is good. It’s gotten people’s attention. And they’ve come a long way: here’s an older mission trailer. Big quality difference.

But this trailer is only interesting to space nerds, like me. Nerds with a high tolerance for exaggerated animations and moderately-okay dramatic narration.

“Mission poster” for Space Station Delivery Mission ULF6, riffing off of the Star Trek (2009) movie poster

NASA needs to add a genuine human element to their mission trailers, and make them as narrative as possible.

One great role model? Guardians of the Galaxy:

That trailer was a hit for a number of reasons, all unrelated to space travel:

  • It had classic, fun music (some of which came out during NASA’s heyday).
  • Instead of one hero, it showed us an ensemble of heroes (like NASA scientists).
  • It used character dialogue to introduce the plot naturally (think about Harry Potter’s friends explaining magic to him, or George Clooney explaining a casino heist plan to his accomplices).
  • It’s lighthearted (which was refreshing after so many dramatic comic book movies).

Another, more direct role model: The Martian. An optimistic, scientifically realistic space movie that doesn’t take itself too seriously.

These are totally doable by a contracted video production team, if not NASA’s own media teams. They can humanize and explain concepts that are (in the truest spatial sense) foreign to everyday people, and get them emotionally involved. With all that in mind…

**Next to the article, the page also holds materials data:**
~~~
Record 1
The following is a DFT calculation (PBE) of a relaxed Be2ZnAsI crystal.

a b c (Å): 4.455 5.277 4.455
angles (deg): 90.00 90.00 90.00
Fractional coordinates of all 5 atoms:
1 Be 0.000 0.000 0.500
2 Be 0.500 0.000 0.000
3 As 0.000 0.000 0.000
4 Zn 0.000 0.500 0.000
5 I 0.500 0.500 0.500

* space-group type: P4/mmm (123)
* ΔE_f (raw): 0.535 eV per atom
* DOS(E_F): 0.53 states/eV/atom
* V: 20.95 Å³/atom

Record 2
The following is a DFT calculation (PBE) of a relaxed NaHW2 crystal.

a b c (Å): 4.285 4.285 4.285
angles (deg): 60.00 60.00 60.00
Fractional coordinates of all 4 atoms:
1 Na 0.500 0.500 0.500
2 W 0.750 0.750 0.750
3 W 0.250 0.250 0.250
4 H 0.000 0.000 0.000

* space-group type: Fm-3m (225)
* DOS(E_F): 0.94 states/eV/atom
* energy above the most stable polymorph in this dataset: 4.63 eV/f.u.
* V: 13.91 Å³/atom

Record 3
The following is a DFT calculation (PBE) of a relaxed Dy2Zn9Ni3 crystal.

a b c (Å): 7.506 7.506 10.119
angles (deg): 89.84 110.83 121.63
Fractional coordinates of all 28 atoms:
1 Ni 0.810 0.635 0.997
2 Ni 0.861 0.186 0.497
3 Ni 0.500 0.000 0.000
4 Ni 0.190 0.365 0.003
5 Ni 0.139 0.814 0.503
6 Ni 0.500 0.500 0.500
7 Zn 0.130 0.135 0.434
8 Zn 0.545 0.345 0.082
9 Zn 0.455 0.655 0.918
10 Zn 0.866 0.015 0.043
11 Zn 0.134 0.985 0.957
12 Zn 0.462 0.929 0.744
13 Zn 0.799 0.304 0.934
14 Zn 0.201 0.696 0.066
15 Zn 0.685 0.718 0.756
16 Zn 0.238 0.537 0.582
17 Zn 0.896 0.146 0.750
18 Zn 0.315 0.282 0.244
19 Zn 0.538 0.071 0.256
20 Zn 0.104 0.854 0.250
21 Zn 0.472 0.823 0.457
22 Zn 0.762 0.463 0.418
23 Zn 0.870 0.865 0.566
24 Zn 0.528 0.177 0.543
25 Dy 0.993 0.590 0.740
26 Dy 0.007 0.410 0.260
27 Dy 0.651 0.748 0.240
28 Dy 0.349 0.252 0.760

* space-group type: C2/c (15)
* DOS(E_F): 0.53 states/eV/atom
* E: -3.023 eV/atom
* V: 15.77 Å³/atom

Record 4
The following is a DFT calculation (PBE) of a relaxed YSiHg3 crystal.

a b c (Å): 5.060 5.060 5.060
angles (deg): 90.00 90.00 90.00
Fractional coordinates of all 5 atoms:
1 Y 0.500 0.500 0.500
2 Hg 0.500 0.000 0.000
3 Hg 0.000 0.500 0.000
4 Hg 0.000 0.000 0.500
5 Si 0.000 0.000 0.000

* space-group type: Pm-3m (221)
* ΔE_f (raw): 0.196 eV per atom
* DOS(E_F): 0.44 states/eV/atom
* energy above the most stable polymorph in this dataset: 0.00 eV/f.u.
* V: 25.90 Å³/atom

Record 5
The following is a DFT calculation (PBE) of a relaxed Ac2NdYO6 crystal.

a b c (Å): 6.105 6.305 8.839
angles (deg): 90.00 90.21 90.00
Fractional coordinates of all 20 atoms:
1 O 0.627 0.060 0.256
2 O 0.690 0.299 0.571
3 O 0.810 0.799 0.929
4 O 0.873 0.560 0.244
5 O 0.700 0.308 0.932
6 O 0.190 0.201 0.071
7 O 0.200 0.192 0.432
8 O 0.127 0.440 0.756
9 O 0.300 0.692 0.068
10 O 0.373 0.940 0.744
11 O 0.310 0.701 0.429
12 O 0.800 0.808 0.568
13 Y 0.000 0.500 0.000
14 Y 0.500 0.000 0.500
15 Ac 0.016 0.952 0.251
16 Ac 0.516 0.548 0.751
17 Ac 0.484 0.452 0.249
18 Ac 0.984 0.048 0.749
19 Nd 0.500 0.000 0.000
20 Nd 0.000 0.500 0.500

* space-group type: P2_1/c (14)
* ΔE_f (raw): -3.361 eV per atom
~~~

4 steps to a top-notch NASA mission trailer:

  1. Hire a writer. And a movie trailer editor (yes, that’s now its own profession). Or at least the writer. Someone who’s good at comedic timing.
  2. Be purposeful with your visual effects. They should be either completely photorealistic or low-fidelity simulations that the cast themselves interact with. Nothing in between.
  3. Cast and shoot appropriately. Get real NASA scientists and staff to deliver summarized or dramatized inter-character dialogue about their own work, in blocked and lit scenes, that lets the audience understand the mission’s purpose, risks, complications, or stakes as they matter to the human characters.
  4. License exciting, appropriate pop music. Can’t you just call up the Library of Congress or something?

But this is just the start.

Not all NASA missions have the same feel. Some are more serious, some are smaller, some are closer to home. There are at least a dozen modern movie trailer styles and film genres to make use of.

What comes next are records of crystals, not part of the piece:
........
Computed, not measured: a PBEsol-optimized structure of TcAs2F at the SCAN level of DFT.

a = 5.467 Å, b = 5.467 Å, c = 10.789 Å
α = 90.00°, β = 90.00°, γ = 90.00°
Space group I-42d (No. 122)
Symmetry-distinct sites (fractional):
Tc 0.000 0.000 0.000 x4
As 0.237 0.250 0.125 x8
F 0.000 0.000 0.500 x4

The calculation puts the uncorrected formation energy at -133 meV per atom. The value obtained for the density of states at the Fermi level is 1.35 states/eV/f.u. The offset from the most stable computed form comes out at 0.112 eV per atom.
........

NASA already has stellar social media teams that can pick up the conversation when the trailer ends. These trailers are one way to get people excited to begin with.

Space exploration isn’t just a fun thing for science fans.

It’s got major societal benefits, ranging all the way from the dream of colonizing another planet, to military and medical research, to everyday conveniences like GPS. It also has some of the greatest potential to unite humanity, help stop our bickering, and get us all on the same team.

If you’ll excuse me, I’ve got an Independence Day swim and 10 PM (central time) Jupiter invasion to prepare for.



Between two parts of the entry: data records:
- - -
# 1
Compound: CeDy2Ho8
Source: Alexandria
Functional: PBE
Structure: optimized geometry

Results
**Size of the total moment**: 1.09 μB per cell
**Total energy**: -4.667 eV per atom
**V**: 31.1 Å³ per atom

Cell and atoms, written as extended XYZ:
```
11
Lattice="9.001 -2.494 0.000 9.001 2.494 0.000 -2.075 0.000 7.612" Properties=species:S:1:pos:R:3 pbc="T T T"
Ce 0.000 0.000 0.000
Dy 4.134 0.000 2.763
Dy 11.793 0.000 4.849
Ho 0.688 0.000 3.460
Ho 1.366 0.000 6.909
Ho 4.852 0.000 6.236
Ho 7.633 0.000 2.053
Ho 8.294 0.000 5.558
Ho 11.074 0.000 1.376
Ho 14.560 0.000 0.703
Ho 15.239 0.000 4.152
```

***

# 2
Compound: Ce3YHo2Se6
Source: Alexandria
Functional: PBE
Structure: optimized geometry

Results
**Size of the total moment**: 3.00 μB per cell
**Total energy**: -6.321 eV per atom
**V**: 25.0 Å³ per atom
**Uncorrected formation energy**: -21.52 eV per formula unit

Cell and atoms, written as extended XYZ:
- - -
Back to the entry:

Robert Boler
Damn Good Tech

design // mobility // sustainability Thanks to my Eagle Scout training, I can survive for days without food, water, or internet. —